Reading Time: 6 minutes

by PC

Initiation Of A Princess
The forest is dark. There is only a distant light ahead. She continues to walk down the dusty path, to her princess initiation ritual. She’s wearing a long white princess gown, with a long slit one of the sides.

Not knowing what is ahead. As she gets closer there is screams of pain and chanting going on. She thinks that she are coming into some sort of cult.

Hiding behind the bushes she sees men chanting. They are wearing cloaks with hoods.

In the center of the circle is a table of some sort. Knowing that she has to get closer and not to be noticed. She grabs a cloak and covers her body with it. Walking up to the group. Not saying a word.

She sees that the table has ropes and tools for whatever they have planned. Then suddenly someone shows up and says.

“Our prize is missing”

Now the woman begins to shake and wants to sneak out. Knowing that she is the prize. Or should I say the prisoner to be sacrificed. She keeps her cool. And slips into the woods only to be spotted. She is caught after she has ripped her gown.

“Oh”, the captor says. ” You will not need that soon anyway”. Struggling to get away. She is unable too.

She is brought to the center of the circle. For all to see. The Leader is dressed in a white cloak. And says, ” strip her”.

Now they stand back so there leader can inspect the prize. Feeling and prodding his fingers. Fondling her plump breasts. Then with a quick blow smacks her face and forces her onto the table.

“Tie her. He first ties her wrists.. The chants are starting again. She can’t move. She is now bent over her feet barely touching the ground.. Her ankles are being held. Her breasts are rubbing against the roughness of the table. And her wrists are spread from the top corner of the table. Her ass is so nicely rounded that it makes an easy target.

The leader who will now be called “Master X” . Has granted that all of the group may feel,spank or fondle her lovely butt.

They begin. There is about 20 people in the group. The first ones start off my feeling .. Some spank. By the time all have felt her in a way. Her butt was warm and ready for Master X.

Master X calls for his bag. She is now going to feel pain like she has never felt before.

He takes a whip out and starts to smack her butt. All over her ass. Making it red and swollen. then He grabs a belt and smacks her butt, her legs and her lower back. And everytime she is hit. Her body moves and her breasts feel the roughness of the table.

There is a nice heat starting between her thighs. But that doesn’t not concern Master X. He continues to punish her. He wants her to be his. And he knows if he stops now she will just do the same.

He then takes a riding crop and starts to smack her red swollen ass. He takes the crop and smacks her pussy and thighs. She screams in pain or is it pleasure. Her feelings are so confused.

But Master X does not stop. Next he takes out a cane. He canes her legs,ass and lower back as hard as he can. Leaving welts all over her.

As the chants go louder he smacks faster. Not once. Not twice but at least in the tens or twenties. Then last he takes a hair brush.. Oh this feels terrible on her red swollen ass. But he continues. But this time he has ordered her to stand. She can barely stand from the pain.

The tears are running down her face. With the men in the cloaks holding her. He then takes the hairbrush and smacks her breasts. He hits her hard. Making them hurt. Then he uses the tools he used on her ass on her breasts. But not as hard. Master X wants her to remember what took place.

He takes the whip leaving red marks on her breasts as they jiggle with every blow. Then he takes the riding crop, then the cane. Oh her whole body aches.

But she is not finished she is then tied spread eagle onto the table. The chanters are issued to leave only to return.

A ball gag is placed in her mouth. A butt plug is then shoved into her ass. Clamps are placed on her nipples. Already sore and red. and clamps are then placed on her pussy lips. and a vibrator is placed. Making her totally in Master X’ s control. You will stay there and I will return for you in the morning. Master X states. and the chanters and he walks into the darkness.

Worried she tries to struggle free. She hears the nights noises of owls the in the bushes. Distant howls.She starts to doze but the vibrator keeps her awake. At one point something comes up and sniffs her pussy. and leaves..She is tired and uncomfortable.. She dozes off unaware that someone has come. They undo her bindings. She is still gagged and the painful clamps on her pussy and nipples. She is carried to a tent. Layed down still tied so not to kick or injure her self.

She feels a warm blanket covers her body.. But when she looks up the person is gone.

But now she is warm but very sore. and unable to move.

By morning she hears rustling her tent. She knows something is up and tries to move. That is when she realizes she can’t.

Two men enter the tent grab the woman and carrier her back to the center of the forest. Tie her again to the table. Now she is unable to fight. and wonders what is going to happen next to her..

Master X enters unknowing that she had been removed over the night. Remove the vibrator and the butt plug and the gag, he orders. Taking his fingers he tugs on her chain.. sending shivers down her spine. She lets out a silent scream. And utters “bastard”.

Master X hears but only tugs harder making her lips stretch even more in agony.

<<<
RbZrZnAg2 PBE-GGA relaxed; calculated density = 4.55 Mg/m³; volume = 33.40 Å³/atom; E above lowest polymorph = 0.0 kJ per mole of atoms; SG = P4/mmm (123); DFT formation energy = 616 meV per atom; crystal system = tetragonal; density of states at the Fermi level = 1.0338 states/eV/atom
1.0
5.5198 0.0000 0.0000
0.0000 5.5198 0.0000
0.0000 0.0000 5.4819
Rb Zr Zn Ag
1 1 1 2
Direct
0.0000 0.0000 0.0000
0.5000 0.5000 0.5000
0.5000 0.5000 0.0000
0.0000 0.5000 0.5000
0.5000 0.0000 0.5000

RbZr2Ag2 PBE-GGA relaxed; calculated density = 5.60 Mg/m³; volume = 28.69 Å³/atom; E above lowest polymorph = 34.5 kJ per mole of atoms; SG = I4/mmm (139); DFT formation energy = 708 meV per atom; crystal system = tetragonal; density of states at the Fermi level = 0.9088 states/eV/atom
1.0
-2.6450 2.6450 5.1267
2.6450 -2.6450 5.1267
2.6450 2.6450 -5.1267
Rb Zr Ag
1 2 2
Direct
0.0000 0.0000 0.0000
0.3567 0.3567 0.0000
0.6433 0.6433 0.0000
0.2500 0.7500 0.5000
0.7500 0.2500 0.5000

RbZr2Ag PBE-GGA relaxed; calculated density = 5.10 Mg/m³; volume = 30.59 Å³/atom; E above lowest polymorph = 0.2 kJ per mole of atoms; SG = I-42d (122); DFT formation energy = 1020 meV per atom; crystal system = tetragonal; density of states at the Fermi level = 1.4115 states/eV/atom
1.0
-2.3075 2.3075 11.4902
2.3075 -2.3075 11.4902
2.3075 2.3075 -11.4902
Rb Zr Ag
2 4 2
Direct
0.0000 0.0000 0.0000
0.7500 0.2500 0.5000
0.2426 0.6250 0.1176
0.3750 0.4926 0.6176
0.5074 0.1250 0.8824
0.8750 0.7574 0.3824
0.2500 0.7500 0.5000
0.5000 0.5000 0.0000

Rb3ZrAg PBE-GGA relaxed; calculated density = 2.51 Mg/m³; volume = 60.16 Å³/atom; E above lowest polymorph = 0.0 kJ per mole of atoms; SG = Pm-3m (221); DFT formation energy = 967 meV per atom; crystal system = cubic; density of states at the Fermi level = 1.4484 states/eV/atom
1.0
6.7005 0.0000 0.0000
0.0000 6.7005 0.0000
0.0000 0.0000 6.7005
Rb Zr Ag
3 1 1
Direct
0.0000 0.0000 0.5000
0.0000 0.5000 0.0000
0.5000 0.0000 0.0000
0.5000 0.5000 0.5000
0.0000 0.0000 0.0000

RbZr3Ag PBE-GGA relaxed; calculated density = 5.03 Mg/m³; volume = 30.86 Å³/atom; E above lowest polymorph = 0.0 kJ per mole of atoms; SG = Pm-3m (221); DFT formation energy = 1144 meV per atom; crystal system = cubic; density of states at the Fermi level = 1.0427 states/eV/atom
1.0
5.3635 0.0000 0.0000
0.0000 5.3635 0.0000
0.0000 0.0000 5.3635
Rb Zr Ag
1 3 1
Direct
0.0000 0.0000 0.0000
0.0000 0.5000 0.5000
0.5000 0.0000 0.5000
0.5000 0.5000 0.0000
0.5000 0.5000 0.5000
>>>

He whispers in her ear. “What did you say?”

She can only shake her head no. The pain. It feels like her pussy lips are tearing off.

Still holding the chain he stands up and cheers to the crowd “SHE IS MINE!”

Now she must be cleaned and prepared for the ceremony. The clamps are taken off making it more painful now . Then when first placed on her.She is untied and led to the lake wear she is washed by another female slave.

The girl starts to cry as the soap hits her. But not saying a word knowing that the slave has had the same treatment she has endured. Finally she is rinsed and instructed to walk out.

She is toweled. Still naked she is lead to the other side of the grounds to a tent.She notices that everyone is minding there own business. Like they are unawear that she is walking by them.Outside the tent door. She is asked to enter.She does and inside Master X awaits.

“Come my pet. Here is wear I will name you and plant my seed.”

Unwillingly she is layed on the skins on the floor of the tent. Her wrists are bound to the post. For her protection and of the Master X’s.He then takes off his cloak.

He is a magnificent man. Muscles are gleaming. He spreads her thighs and looks at his handy work. Smiling he kisses her pussy lips. and starts to lick them. Sliding his tongue all around and inside. She likes this feeling and it soothes the pain she had felt. He continues to suckle on her lips entering her clit as deep as he can go. The juices begin to flow and soon she is aroused and cums onto his tongue. Master X is pleased and moves his tongue up. He starts to lick and nibble on her sore breasts.. First it stings. Then it feels so good. His tongue is warm and sensitive to the torture he inflicted onto her. He then turns her over and looks at her swollen ass. and begins licking her butt cheeks. He feels the heat from them and rubs some cream on her ass and onto his shaft that he places on her butt. He guides it into her. Slowly and painfully it enters.. He starts to fuck her. Slamming it in and out. There is only grunts coming out of her now. When he is about to cum He spurts his cum all over her swollen ass. Then he flips her back onto her back.

“Are you ready?” he asks.

“Ready for what?” she asks.

“My seed of course” he bursts out.

She doesn’t say a word and he guides his cock into her. Passing her swollen pussy lips. Pumping her he slides his cock deep within her and fucks her like there is no tomorrow. He cums inside her as she orgasms. Making them shudder with excitement. He leans over and unties her wrists and kisses her now. Now you are mine.

And your name is Princess from now on.

And now you are free to go. Dress in the robe and leave my Princess.

She walks out of the tent and there is nothing but cheers.